Recently, we brought up a new PCB (printed circuit board) a customer had designed based on the Microchip ATSAMA5D27C-D1G processor. We encountered several interesting challenges.
Attached: calculated crystals.
Entry 1:
{
  "formula": "La3Nb8O24",
  "functional": "PBE",
  "state": "relaxed",
  "formation_enthalpy_0k_ev_per_atom": -3.27,
  "crystal_system": "monoclinic",
  "total_magnetization_mub_per_cell": 0.001,
  "lattice": [[7.9712, -3.9833, 0.0000], [7.9712, 3.9833, 0.0000], [-3.9850, 0.0000, 8.0553]],
  "species": ["La", "La", "La", "Nb", "Nb", "Nb", "Nb", "Nb", "Nb", "Nb", "Nb", "O", "O", "O", "O", "O", "O", "O", "O", "O", "O", "O", "O", "O", "O", "O", "O", "O", "O", "O", "O", "O", "O", "O", "O"],
  "frac_coords": [[0.0000, 0.0000, 0.0000], [0.2493, 0.2493, 0.0001], [0.7507, 0.7507, 0.9999], [0.0657, 0.5582, 0.7410], [0.1951, 0.6878, 0.2591], [0.3122, 0.8049, 0.7409], [0.4418, 0.9343, 0.2590], [0.5582, 0.0657, 0.7410], [0.6878, 0.1951, 0.2591], [0.8049, 0.3122, 0.7409], [0.9343, 0.4418, 0.2590], [0.0000, 0.5000, 0.5000], [0.0564, 0.5562, 0.2254], [0.0704, 0.0704, 0.7778], [0.1100, 0.6297, 0.0000], [0.1804, 0.7039, 0.7686], [0.1815, 0.1815, 0.2222], [0.2491, 0.7509, 0.5000], [0.2961, 0.8196, 0.2314], [0.3127, 0.3127, 0.7706], [0.3703, 0.8900, 0.0000], [0.4273, 0.4273, 0.2294], [0.4438, 0.9436, 0.7746], [0.5000, 0.0000, 0.5000], [0.5562, 0.0564, 0.2254], [0.5727, 0.5727, 0.7706], [0.6297, 0.1100, 0.0000], [0.6873, 0.6873, 0.2294], [0.7039, 0.1804, 0.7686], [0.7509, 0.2491, 0.5000], [0.8185, 0.8185, 0.7778], [0.8196, 0.2961, 0.2314], [0.8900, 0.3703, 0.0000], [0.9296, 0.9296, 0.2222], [0.9436, 0.4438, 0.7746]]
}


Entry 2:
{
  "formula": "LaNbO4",
  "functional": "PBE",
  "state": "relaxed",
  "formation_enthalpy_0k_ev_per_atom": -3.56,
  "crystal_system": "tetragonal",
  "lattice": [[-2.7239, 2.7239, 5.8691], [2.7239, -2.7239, 5.8691], [2.7239, 2.7239, -5.8691]],
  "species": ["La", "La", "Nb", "Nb", "O", "O", "O", "O", "O", "O", "O", "O"],
  "frac_coords": [[0.3750, 0.1250, 0.2500], [0.6250, 0.8750, 0.7500], [0.1250, 0.3750, 0.7500], [0.8750, 0.6250, 0.2500], [0.0497, 0.7075, 0.8355], [0.2075, 0.8720, 0.6577], [0.2858, 0.4503, 0.1577], [0.3720, 0.2142, 0.6645], [0.6280, 0.7858, 0.3355], [0.7142, 0.5497, 0.8423], [0.7925, 0.1280, 0.3423], [0.9503, 0.2925, 0.1645]]
}


Entry 3:
{
  "formula": "LaNbO4",
  "functional": "PBE",
  "state": "relaxed",
  "formation_enthalpy_0k_ev_per_atom": -3.56,
  "crystal_system": "monoclinic",
  "lattice": [[3.7857, -5.8503, 0.0000], [3.7857, 5.8503, 0.0000], [-3.6739, 0.0000, 3.9039]],
  "species": ["La", "La", "Nb", "Nb", "O", "O", "O", "O", "O", "O", "O", "O"],
  "frac_coords": [[0.1267, 0.8733, 0.7500], [0.8733, 0.1267, 0.2500], [0.3849, 0.6151, 0.2500], [0.6151, 0.3849, 0.7500], [0.1371, 0.5531, 0.3378], [0.2200, 0.2916, 0.8276], [0.2916, 0.2200, 0.3276], [0.4469, 0.8629, 0.1622], [0.5531, 0.1371, 0.8378], [0.7084, 0.7800, 0.6724], [0.7800, 0.7084, 0.1724], [0.8629, 0.4469, 0.6622]]
}


Entry 4:
{
  "formula": "LaNb5O14",
  "functional": "PBE",
  "state": "relaxed",
  "formation_enthalpy_0k_ev_per_atom": -3.17,
  "crystal_system": "orthorhombic",
  "total_magnetization_mub_per_cell": 0.000,

The first issue was that the design only had serial ports (and possibly a USB Host port that could be used in device mode) for bootstrapping the system. Microchip provides a tool named SAM-BA to do this. There are two implementations of SAM-BA. The older implementation does not support this CPU. The newer implementation does support this CPU, but the documentation and examples are sparse (at least when we were using it). The standard way to use SAM-BA is to directly program the bootstrap and bootloader into SPI flash. However, this design only has eMMC flash. So we came up with a way to bootstrap at91bootstrap and u-boot over the serial port, and then load a Linux kernel with an embedded initramfs from a USB flash disk. This initramfs contains an updater that is used to program the eMMC flash. After the updater runs the first time, the system will then boot from eMMC. We developed and verified this process on a development board, and it is documented in a Github issue (The SAM-BA team has since disabled Github issues on this repository), and as part of the Yoe Distro sama5d27 support. Microchip has also since provided us with a procedure to program eMMC using SAM-BA, but the procedure is complex and we never had a need for it once we figured out the above method.
After receiving 10 prototypes of the new board, we learned pretty quickly that VCCBU must have voltage for the CPU to start. After that, the first board loaded u-boot and everything looked good, but things went south from there. U-boot would only load perhaps one out of twenty times. Basic checks of power supply voltage levels all looked good. The custom board used a 12MHz crystal for the main clock, where Microchip’s SOM1 module uses a 24MHz crystal. We decided to try a 24MHz crystal, and after that change, u-boot would reliably load over SAM-BA. We’re not sure why (12MHz is slower than 24MHz, so things should run better), but initializing a clock tree is complex and there is likely something that was not configured correctly in software. Lesson #1: Unless you want to spend a lot of time writing chip initialization software and debugging strange problems, follow a reference design as closely as possible. Working at the level of chip initialization often requires intimate knowledge of the MPU and likely the support of those who designed the chip. This is much more effort than most teams have time for and is best left to the MPU vendor.
Now that u-boot was loading reliably, we could turn our attention to the kernel. At this point, a couple boards would start the kernel, but most failed with no kernel messages after the “Starting kernel …” message on the serial console. The boards that would start the kernel would crash partway through the boot process. We started looking at power supplies and observed a 100mV sawtooth on the core power supply.

The SAMA5D27 datasheet specifies a maximum of 15mV of ripple for the core supply.

The ADP5023 power supply used for the core voltage had a mode pin that can be used to force it into PWM-only mode, instead of PWS/PWM mode. After forcing the supply into PWM-only mode, some boards would start Linux. However, there were still stability problems later in the boot cycle.
After trying many other things, we finally raised the voltage of the core supply slightly by changing one of the feedback resistors. Presto! Lesson #2: If a CPU has stability problems and everything else looks OK, trying raising the core voltage. The system was now stable. After communicating with Microchip, we learned that the CPU actually required a higher voltage than the documentation specified. Microchip provides a power supply that is designed to be used with the SAMA5D27 — if this supply would have been used, then we would have gotten the right voltage.
This bringup experience was harder and longer than most — especially for a board of this complexity. But, it illustrates an important point — full custom MPU design is hard — even with a part like the SAMA5D27-D1G which integrates SDRAM in the CPU package. It can require a significant amount of time. This design was done by a competent designer and was extensively reviewed, but it still contained serious problems that took weeks to resolve. In the end, we were still able to make the first PCB revision work with minor modifications. However, it is very possible that the first revision of a PCB like this might need to be scrapped and chalked up to a learning experience leading to months of project delays.
Lesson #3: Use a SOM (System on Module) unless you have a good reason to do a full custom design, and you have the time and resources to pull it off. You are likely not Google or Apple. Yes, you will pay slightly more for a SOM than the raw MPU system components, but the SOM cost may be offset by a lower cost baseboard. A full custom MPU design may require 8 layers and very small routing features where a baseboard for a SOM may only require 4 layers and use larger features, resulting in a less costly PCB. Additionally, a baseboard for a SOM may have a lot less parts on it, and requires less effort to set up for assembly — simpler ones can even be hand built to bypass weeks of assembly lead-time.
There are dozens of SOM vendors offering products today that fit about any price/quality/certification price point. Some SOMs contain pre-certified WiFi and Bluetooth radios. Others meet various mil-spec requirements. This situation today is much different than 10 years ago when there were only a few expensive SOM models available. SOM modules allow us to bring advanced technology to a problem, and implement a solution with a small team in a reasonable amount of time. Implementing a SOM based MPU design still requires a fair amount of knowledge, but the unknowns are drastically reduced, and chances of success are far better. Much of the design complexity is already handled, freeing you up to work on the value a product provides. Any time we can simplify our development effort, our chances of success are much greater.
Working with Microchip on this project was a good experience. Without their support, we would not likely have resolved the issues we faced in a timely fashion. This brings us to Lesson #4: When developing complex system, you are likely going to need some level of support. This may come from IC vendors, open source communities, consultants, etc. In this case, the MPU documentation was not up to date, and the chip designers were able to point out the problem. We could be critical of Microchip for this oversight, but with a 3000+ pages datasheet, this is a lot of detail, and there will be mistakes and oversights. The fact that most of the datasheet is available and accurate is a commendable accomplishment. Getting this level of documentation from some vendors is like pulling teeth. Before any of us cast the first stone, we must ask the question — is everything we do completely and accurately documented? Overall, the SAMA5D27 documentation is pretty good.
The support provided on the SAM-BA Github issues was also essential for us to figure out a way to program the device. The procedure we found for programming this system using only a serial port is relatively simple and easy to implement. Though it may violate some SDRAM refresh timing specs, in practice it works very well — and that is what matters — getting things done. It is unfortunate that Microchip has since closed the Github issues for the SAM-BA project, indicating they are not really interested in building a community around the project, but rather Github is only a way to distribute the tool that is developed in-house. As systems get more complex, Open Source communities are proving to be the only viable mechanism to develop and support all the various needs users might have. Large companies readily acknowledge this as many core technologies are now Open Source, and much effort is put into building communities around them. But, lack of Open Source vision aside, Microchip is a reliable partner — especially for smaller companies wanting to use advanced technology and needing support.